# What to do
Your job: type out the lines below up to the one that holds "0.1743 0.3485", that line included.

# Given
┌──
1.
## Er8Zr (PBE-GGA)

Data for crystalline Er8Zr at its relaxed geometry.

Unit cell a=3.5512 b=8.8762 c=8.8762 alpha=87.71 beta=78.46 gamma=78.46
Last column: nearest neighbours and their distance in Å.
Fractional positions:
Er1 0.0000 0.3340 0.6660  10 Er 3.39-3.55
Er2 0.3340 0.6660 0.6660  10 Er 3.39-3.55
Er3 0.3415 0.0000 0.3170  2 Zr 3.28, 8 Er 3.41-3.65
Er4 0.6660 0.3340 0.3340  10 Er 3.39-3.55
Er5 0.0000 0.6660 0.3340  10 Er 3.39-3.55
Er6 0.3415 0.3170 0.0000  2 Zr 3.28, 8 Er 3.41-3.65
Er7 0.6585 0.6830 0.0000  2 Zr 3.28, 8 Er 3.41-3.65
Er8 0.6585 0.0000 0.6830  2 Zr 3.28, 8 Er 3.41-3.65
Zr1 0.0000 0.0000 0.0000  8 Er 3.28, 2 Zr 3.55

Calculated values
* SG: No. 139
* energy relative to the lowest polymorph listed for this composition: 107 meV per atom

***

2.
## ErZr11 (PBE-GGA)

Data for crystalline ErZr11 at its relaxed geometry.

Unit cell a=3.1718 b=10.2040 c=10.2040 alpha=120.00 beta=90.00 gamma=90.00
Last column: nearest neighbours and their distance in Å.
Fractional positions:
Zr1 0.0000 0.6667 0.3333  11 Zr 2.95-3.23
Zr2 0.5000 0.1743 0.3485  10 Zr 3.08-3.29
Zr3 0.5000 0.8257 0.6515  10 Zr 3.08-3.29
Zr4 0.0000 0.5000 0.0000  12 Zr 2.95-3.29
Zr5 0.5000 0.3485 0.1743  10 Zr 3.08-3.29
Zr6 0.0000 0.3333 0.6667  11 Zr 2.95-3.23
Zr7 0.0000 0.0000 0.5000  12 Zr 2.95-3.29
Zr8 0.0000 0.5000 0.5000  12 Zr 2.95-3.29
Zr9 0.5000 0.8257 0.1743  10 Zr 3.08-3.29
Zr10 0.5000 0.6515 0.8257  10 Zr 3.08-3.29
Zr11 0.5000 0.1743 0.8257  10 Zr 3.08-3.29
Er1 0.0000 0.0000 0.0000  2 Er 3.17, 12 Zr 3.46

Calculated values
* SG: No. 191
* calculated total energy: -8.172 eV per atom

***

3.
## Er5Zr (PBE-GGA)

Data for crystalline Er5Zr at its relaxed geometry.

Unit cell a=3.4446 b=6.5657 c=9.3367 alpha=119.26 beta=90.00 gamma=105.21
Last column: nearest neighbours and their distance in Å.
Fractional positions:
Er1 0.9969 0.9938 0.0085  9 Er 3.21-3.56, 3 Zr 3.41-3.42
Er2 0.0053 0.0107 0.3581  9 Er 3.18-3.56, 2 Zr 3.32
Er3 0.2641 0.5282 0.6922  8 Er 3.18-3.44, 1 Zr 3.24
Er4 0.7445 0.4891 0.3441  9 Er 3.24-3.57, 2 Zr 3.47
Er5 0.5412 0.0825 0.7137  9 Er 3.40-3.56, 2 Zr 3.52
Zr1 0.2813 0.5625 0.0500  10 Er 3.24-3.52, 2 Zr 3.44

Calculated values
* SG: No. 8
* energy relative to the lowest polymorph listed for this composition: 15 meV per atom

***

4.
## Er8Zr (PBE-GGA)

Data for crystalline Er8Zr at its relaxed geometry.

Unit cell a=4.8734 b=7.7700 c=7.7700 alpha=84.36 beta=71.72 gamma=71.72
Last column: nearest neighbours and their distance in Å.
Fractional positions:
Er1 0.6611 0.6779 0.0000  10 Er 3.36-3.58, 2 Zr 3.40
Er2 0.6611 0.0000 0.6779  10 Er 3.36-3.58, 2 Zr 3.40
Er3 0.3389 0.0000 0.3221  10 Er 3.36-3.58, 2 Zr 3.40
Er4 0.3389 0.3221 0.0000  10 Er 3.36-3.58, 2 Zr 3.40
Er5 0.6726 0.3274 0.3274  1 Zr 3.42, 11 Er 3.43-3.60
Er6 0.0000 0.6726 0.3274  1 Zr 3.42, 11 Er 3.43-3.60
Er7 0.0000 0.3274 0.6726  1 Zr 3.42, 11 Er 3.43-3.60
Er8 0.3274 0.6726 0.6726  1 Zr 3.42, 11 Er 3.43-3.60
Zr1 0.0000 0.0000 0.0000  12 Er 3.40-3.42

Calculated values
* SG: No. 139
* energy relative to the lowest polymorph listed for this composition: 0 meV per atom

***

5.
## Er5Zr (PBE-GGA)

Data for crystalline Er5Zr at its relaxed geometry.

Unit cell a=4.8932 b=4.8650 c=7.6931 alpha=108.43 beta=90.00 gamma=90.00
Last column: nearest neighbours and their distance in Å.
Fractional positions:
Er1 0.0000 0.6604 0.3207  2 Zr 3.38, 10 Er 3.39-3.58
Er2 0.5000 0.5000 0.0000  8 Er 3.38-3.39, 4 Zr 3.45
Er3 0.5000 0.1609 0.3218  10 Er 3.38-3.58, 2 Zr 3.39
Er4 0.5000 0.8391 0.6782  10 Er 3.38-3.58, 2 Zr 3.39
Er5 0.0000 0.3396 0.6793  2 Zr 3.38, 10 Er 3.39-3.58
Zr1 0.0000 0.0000 0.0000  12 Er 3.38-3.45

Calculated values
* SG: No. 65
* energy relative to the lowest polymorph listed for this composition: 0 meV per atom

***

6.
## Er2Zr (PBE-GGA)

Data for crystalline Er2Zr at its relaxed geometry.

Unit cell a=3.4213 b=3.4255 c=8.4496 alpha=90.00 beta=78.29 gamma=59.96
Last column: nearest neighbours and their distance in Å.
Fractional positions:
└──

# Reply
1.
## Er8Zr (PBE-GGA)

Data for crystalline Er8Zr at its relaxed geometry.

Unit cell a=3.5512 b=8.8762 c=8.8762 alpha=87.71 beta=78.46 gamma=78.46
Last column: nearest neighbours and their distance in Å.
Fractional positions:
Er1 0.0000 0.3340 0.6660  10 Er 3.39-3.55
Er2 0.3340 0.6660 0.6660  10 Er 3.39-3.55
Er3 0.3415 0.0000 0.3170  2 Zr 3.28, 8 Er 3.41-3.65
Er4 0.6660 0.3340 0.3340  10 Er 3.39-3.55
Er5 0.0000 0.6660 0.3340  10 Er 3.39-3.55
Er6 0.3415 0.3170 0.0000  2 Zr 3.28, 8 Er 3.41-3.65
Er7 0.6585 0.6830 0.0000  2 Zr 3.28, 8 Er 3.41-3.65
Er8 0.6585 0.0000 0.6830  2 Zr 3.28, 8 Er 3.41-3.65
Zr1 0.0000 0.0000 0.0000  8 Er 3.28, 2 Zr 3.55

Calculated values
* SG: No. 139
* energy relative to the lowest polymorph listed for this composition: 107 meV per atom

***

2.
## ErZr11 (PBE-GGA)

Data for crystalline ErZr11 at its relaxed geometry.

Unit cell a=3.1718 b=10.2040 c=10.2040 alpha=120.00 beta=90.00 gamma=90.00
Last column: nearest neighbours and their distance in Å.
Fractional positions:
Zr1 0.0000 0.6667 0.3333  11 Zr 2.95-3.23
Zr2 0.5000 0.1743 0.3485  10 Zr 3.08-3.29